Page 166 of The Choice

She responded with a dreamy moan as she writhed against the man’s busy hand.

Her reply was utterly adorable…but not the verbal answer she knew he expected. Drawing his hand back, he landed a sharp spank on one of her cheeks. The feel of her soft flesh yielding beneath his hand and the satisfied tingle sliding up his arm made Beck want to roar.

Heavenly’s eyes flew open, and she squealed. “What was—”

“You didn’t use your words.”

“No, but she just left a fucking puddle in my hand.” Seth sent him a triumphant grin.

What comes next are calculated crystals, not part of the entry:
<<<
(1)
# PBE-GGA K2MgCd, relaxed
data_K2MgCd
_chemical_formula_sum 'K4 Mg2 Cd2'
_space_group_name_H-M_alt 'C m m m'
_space_group_IT_number 65
_space_group_name_Hall '-C 2 2'
_cell_length_a 5.413
_cell_length_b 5.422
_cell_length_c 10.834
_cell_angle_alpha 90.00
_cell_angle_beta 90.00
_cell_angle_gamma 90.00
loop_
_atom_site_label
_atom_site_type_symbol
_atom_site_fract_x
_atom_site_fract_y
_atom_site_fract_z
_atom_site_occupancy
K1 K 0.000 0.000 0.241 1
Mg1 Mg 0.000 0.500 0.500 1
Cd1 Cd 0.000 0.500 0.000 1
# formation enthalpy at 0 K	0.51	eV per formula unit
# excess energy over the best structure of this formula in the dataset	0.0901	eV/atom
# DOS at the Fermi energy	3.65	states/eV per cell


(2)
# PBE-GGA KMg2Cd, relaxed
data_KMg2Cd
_chemical_formula_sum 'K4 Mg8 Cd4'
_space_group_name_H-M_alt 'I -4 2 d'
_space_group_IT_number 122
_space_group_name_Hall 'I -4 2bw'
_cell_length_a 5.552
_cell_length_b 5.552
_cell_length_c 20.493
_cell_angle_alpha 90.00
_cell_angle_beta 90.00
_cell_angle_gamma 90.00
loop_
_atom_site_label
_atom_site_type_symbol
_atom_site_fract_x
_atom_site_fract_y
_atom_site_fract_z
_atom_site_occupancy
K1 K 0.000 0.000 0.000 1
Mg1 Mg 0.075 0.250 0.625 1
Cd1 Cd 0.000 0.000 0.500 1
# formation enthalpy at 0 K	0.99	eV per formula unit
# DOS at the Fermi energy	8.88	states/eV per cell


(3)
# PBE-GGA KMg2Cd, relaxed
data_KMg2Cd
_chemical_formula_sum 'K1 Mg2 Cd1'
_space_group_name_H-M_alt 'P 4/m m m'
_space_group_IT_number 123
_space_group_name_Hall '-P 4 2'
_cell_length_a 4.893
_cell_length_b 4.893
_cell_length_c 5.043
_cell_angle_alpha 90.00
_cell_angle_beta 90.00
_cell_angle_gamma 90.00
loop_
_atom_site_label
_atom_site_type_symbol
_atom_site_fract_x
_atom_site_fract_y
_atom_site_fract_z
_atom_site_occupancy
K1 K 0.000 0.000 0.000 1
Mg1 Mg 0.000 0.500 0.500 1
Cd1 Cd 0.500 0.500 0.000 1
# formation enthalpy at 0 K	0.70	eV per formula unit
# DOS at the Fermi energy	2.09	states/eV per cell


(4)
# PBE-GGA K3MgCd4, relaxed
data_K3MgCd4
_chemical_formula_sum 'K6 Mg2 Cd8'
_space_group_name_H-M_alt 'C 1 2 1'
_space_group_IT_number 5
_cell_length_a 13.613
_cell_length_b 6.770
_cell_length_c 7.169
_cell_angle_alpha 90.00
_cell_angle_beta 118.30
_cell_angle_gamma 90.00
loop_
_space_group_symop_operation_xyz
'x,y,z'
'-x,y,-z'
'x+1/2,y+1/2,z'
'-x+1/2,y+1/2,-z'
loop_
_atom_site_label
_atom_site_type_symbol
_atom_site_fract_x
_atom_site_fract_y
_atom_site_fract_z
_atom_site_occupancy
K1 K 0.000 0.000 0.000 1
K2 K 0.183 0.738 0.578 1
Mg1 Mg 0.000 0.263 0.500 1
Cd1 Cd 0.069 0.497 0.900 1
Cd2 Cd 0.228 0.223 0.851 1
# formation enthalpy at 0 K	-0.22	eV per formula unit
# DOS at the Fermi energy	8.97	states/eV per cell


(5)
# PBE-GGA KMg7Cd5, relaxed
data_KMg7Cd5
_chemical_formula_sum 'K2 Mg14 Cd10'
_space_group_name_H-M_alt 'I m m 2'
_space_group_IT_number 44
_cell_length_a 5.962
_cell_length_b 10.309
_cell_length_c 10.263
_cell_angle_alpha 90.00
_cell_angle_beta 90.00
_cell_angle_gamma 90.00
loop_
_space_group_symop_operation_xyz
'x,y,z'
'-x,-y,z'
>>>

“Did she now?”

“Oh, yeah.”

Beck cupped Heavenly’s nape. “Would you like some more spankings, little girl?”

“I-I don’t know…why—”

“Why that rush of sweet cream came pouring out of you?” Seth nipped at her shoulder.

Between two parts of the text: data records:
____________
Computed, not measured: a relaxed MnCrSb2 crystal at the GGA-PBE level of DFT.

a b c (Å): 3.460 3.700 6.443
angles (deg): 90.00 101.20 90.00
Space group P2/m (No. 10)
Unique sites:
Mn 0.000 0.000 0.000
Cr 0.000 0.000 0.500
Sb 0.493 0.500 0.250

Summary:
VASP energy: -6.43 eV/atom
E_form (uncorrected): 0.333 eV per atom
volume: 20.23 Å³ per atom
energy above the most stable polymorph in this dataset: 0.302 eV/atom

=====

*A*
# PBE-GGA Eu2InGe, relaxed
data_Eu2InGe
_symmetry_space_group_name_H-M 'P 1'
_symmetry_Int_Tables_number 1
_symmetry_space_group_name_Hall 'P 1'
_cell_length_a 5.4302
_cell_length_b 5.4302
_cell_length_c 5.4302
_cell_angle_alpha 60.00
_cell_angle_beta 60.00
_cell_angle_gamma 60.00
loop_
_atom_site_label
_atom_site_fract_x
_atom_site_fract_y
_atom_site_fract_z
_atom_site_occupancy
Ge1 0.5000 0.5000 0.5000 1
Eu1 0.2500 0.2500 0.2500 1
Eu2 0.7500 0.7500 0.7500 1
In1 0.0000 0.0000 0.0000 1
# space group	Fm-3m (225)

*B*
# PBE-GGA Eu2InGe, relaxed
data_Eu2InGe
_symmetry_space_group_name_H-M 'P 1'
_symmetry_Int_Tables_number 1
_symmetry_space_group_name_Hall 'P 1'
_cell_length_a 3.7237
_cell_length_b 3.7237
_cell_length_c 11.2763
_cell_angle_alpha 80.50
_cell_angle_beta 80.50
_cell_angle_gamma 60.00
loop_
_atom_site_label
_atom_site_fract_x
_atom_site_fract_y
_atom_site_fract_z
_atom_site_occupancy
In1 0.0000 0.0000 0.0000 1
Eu1 0.1015 0.1015 0.6954 1
Eu2 0.8985 0.8985 0.3046 1
Ge1 0.5000 0.5000 0.5000 1
# space group	R-3m (166)

Which one is the most stable? From the structures above, *A*.
____________

“No.” Heavenly dropped her lashes as if too embarrassed to face them.

Beck smacked her ass a little harder.

“Ouch!” She clenched against the sting.

But when he smoothed his hand over her heated flesh again, she sighed so sweetly.

“Failing to use your words is unacceptable. So is hiding your feelings,” Beck chastised. “Open, honest communication. Remember?”


God, he was dying to spank her just to feel her under his palm and see how much having a red ass would arouse her. But now wasn’t the time. When she was comfortable with the rules and their expectations, when she was secure in the knowledge she was safe between them… Then? Hell, yes.

“Now, answer the question.” He dropped his voice. “Do you want me to stop?”

“I suggest you answer honestly. I feel you spilling honey like an overflowing hive,” Seth added. “Even if you’re not sure whether you want more, your body knows. Beck’s spankings turned you on.”

“And we’re ecstatic they did.”


“Hmm,” Beck hummed against her neck. “You know, Cooper, it would be terrible to let all that precious cream go to waste.”

“A damn shame. Get on the bed, Heavenly.” Seth strode across the room and yanked off the comforter.

“I think he’s anxious,” Beck murmured in her ear.

Heavenly graced him with a soft, shy giggle.

As he tucked a strand of hair behind her ear, he lost himself in her eyes, hypnotized by the slashes of silver surrounding deep azure. “He’s not the only one who’s lost patience.”

She slung her gentle palms on his shoulders. “I’ve wanted your touch even when I thought you’d never look twice at me.”

Beck’s breath caught. From the first time she’d lifted those lashes and peered up at him, she’d shocked his heart awake. Since then, she’d changed him, made him want to be a better, gentler man…the kind of man she could love. “I’ve never not wanted you.”

Her face softened with apology. “But it happened the same for me with Seth. One look and—”

“I know.” And Beck did. He didn’t like or understand it, but he was done questioning it. “It’s all right, Heavenly.”

“We’re big boys,” Seth assured, circling her waist from behind.

== Records of crystals, kept here for reference ==
<<<
Entry 1:
First-principles (PBE) data for crystalline Tb2Pr6Dy3Er at its relaxed geometry, as listed in the Alexandria database.

Computed properties:
- E: -4.6812 eV per atom
- ΔE_f: 11 meV/atom
- SG: C2/m, No. 12
- Fermi-level density of states: 1.111 states/eV/atom

```
12
Lattice="3.154 -5.463 0.000 3.154 5.463 0.000 -2.097 0.000 11.707" Properties=species:S:1:pos:R:3 pbc="T T T"
Tb 3.154 3.642 0.000
Tb 3.154 -3.642 0.000
Pr 0.004 1.819 8.782
Pr 1.056 0.000 2.928
Pr 0.004 -1.819 8.782
Pr 4.207 1.819 2.925
Pr 3.155 0.000 8.779
Pr 4.207 -1.819 2.925
Dy -1.048 0.000 5.853
Dy 2.106 1.821 5.853
Dy 2.106 -1.821 5.853
Er 3.154 0.000 0.000
```

***

Entry 2:
First-principles (PBE) data for crystalline SbCl at its relaxed geometry, as listed in the Alexandria database.

Computed properties:
- E: -3.0398 eV per atom
- SG: I-43m, No. 217
- Fermi-level density of states: 0.930 states/eV/atom
- Polymorph energy (0 for the lowest one): 40.50 kJ/mol of atoms
- Uncorrected formation energy: -0.06 eV/atom

```
8
Lattice="-4.564 4.564 4.564 4.564 -4.564 4.564 4.564 4.564 -4.564" Properties=species:S:1:pos:R:3 pbc="T T T"
Sb 1.063 1.063 -1.063
Sb 1.063 -1.063 1.063
Sb -1.063 1.063 1.063
Sb 3.501 3.501 3.501
Cl 2.546 2.546 -2.546
Cl 2.546 -2.546 2.546
Cl 2.018 2.018 2.018
Cl -2.546 2.546 2.546
```

***

Entry 3:
First-principles (PBE) data for crystalline Ce2ZrNpAs4 at its relaxed geometry, as listed in the Alexandria database.

Computed properties:
- E: -7.6731 eV per atom
- ΔE_f: -1179 meV/atom
- SG: P2/m, No. 10
- Fermi-level density of states: 1.974 states/eV/atom

```
8
Lattice="7.087 0.000 0.000 0.000 4.095 0.000 -2.343 0.000 6.690" Properties=species:S:1:pos:R:3 pbc="T T T"
Ce 0.000 0.000 0.000
Ce -1.171 2.047 3.345
Zr 2.372 0.000 3.345
Np 3.544 2.047 0.000
As 0.113 0.000 4.996
As 1.273 2.047 1.751
As 3.472 2.047 4.940
As 4.632 0.000 1.695
```

* * * * *

Material: Ho2PuPd3
Method: DFT, GGA-PBE
State: relaxed

CIF file:
```
data_Ho2PuPd3
_chemical_formula_sum 'Ho2 Pu1 Pd3'
_symmetry_space_group_name_H-M 'P 4/m m m'
_symmetry_Int_Tables_number 123
_symmetry_space_group_name_Hall '-P 4 2'
_cell_length_a 3.4524
_cell_length_b 3.4524
_cell_length_c 10.8092
_cell_angle_alpha 90.00
_cell_angle_beta 90.00
_cell_angle_gamma 90.00
loop_
_atom_site_label
_atom_site_fract_x
>>>
== End of the records of crystals ==

Heavenly backed away, and for the first time since they’d crossed the threshold, she looked worried. “I know this isn’t what either of you wanted, and my dad—”

“Not now,” Seth insisted. “There’s no one here but us. What do you want?”

“To please you both…and I don’t know how.”

After everything she’d been through, her first concern was pleasing them? That blew Beck’s mind.

Understanding settled across Seth’s face as he gathered the girl into his arms. “All you need to do tonight is open yourself and trust us. Can you do that?”

She nodded. “I already trust you both.”

God, what sweet words.

“Then lie back.” Beck helped her onto the middle of the mattress.

Impatience crawled up his spine as he stared down at their brave, beautiful girl. Innocent hunger filled her eyes. She didn’t know what they intended, but she desperately wanted this…wanted them.

No matter what it took, he and Seth had to give her the most memorable night of her life.

He glanced at Cooper. The man’s stoic expression told Beck they were on the same page—again.

He locked eyes with Heavenly. “Spread your legs for us, little girl. Show us your pretty, wet pussy.”

That pink blush he’d grown to love painted her cheeks as she slowly parted her legs.

“Wider,” Seth commanded.

As she inched her thighs farther apart, her feminine musk now saturated the air, compelling Beck to crawl between her knees.

“Brace yourself. She’ll set your damn taste buds on fire,” Seth growled.

For an unguarded moment, jealousy knifed Beck. He forced himself to yank out the blade. No more putting this petty shit above her. It wasn’t a competition. There were no winners or losers. Time to exercise the same sage acceptance Seth had shown earlier so they could shower Heavenly with the passion and love she deserved.

“Wait until you feel her pretty mouth wrapped around your cock,” he drawled without an ounce of malice.

“Beck!” She gaped in embarrassment.

“What?” He opened her wider and glided his palms up her thighs. “It’s the truth. You’ve got a sinful tongue.”